Contents =
-- begin --
{"formula": "C33H32O29Pd3", "method": "wB97M-V/def2-TZVPD", "species": ["Pd", "Pd", "Pd", "C", "C", "C", "O", "C", "C", "C", "O", "O", "O", "H", "H", "C", "C", "C", "O", "C", "C", "C", "O", "O", "O", "H", "H", "C", "C", "O", "C", "O", "O", "H", "H", "H", "H", "C", "C", "O", "C", "O", "O", "H", "H", "H", "H", "C", "C", "O", "C", "O", "O", "H", "H", "H", "H", "C", "C", "O", "C", "O", "O", "H", "H", "H", "H", "C", "C", "O", "C", "O", "O", "H", "H", "H", "H", "C", "C", "O", "C", "O", "O", "H", "H", "H", "H", "C", "C", "O", "C", "O", "O", "H", "H", "H", "H"], "positions_angstrom": [[-2.362, -5.044, -0.904], [-0.702, 3.148, 0.088], [-2.381, -4.498, 3.749], [-0.970, -0.620, 2.382], [-1.351, -1.918, 1.867], [-1.336, -2.119, 0.317], [-1.741, -3.164, -0.293], [-0.984, -0.979, -0.548], [-0.535, 0.145, 0.016], [-0.621, 0.406, 1.557], [-0.462, 1.581, 2.040], [-0.134, 1.083, -0.826], [-1.760, -2.841, 2.585], [-0.916, -0.596, 3.461], [-1.034, -1.226, -1.598], [-5.681, 0.860, -1.602], [-4.706, 1.801, -1.521], [-3.861, 1.943, -0.296], [-3.162, 3.001, 0.013], [-3.885, 1.029, 0.681], [-4.656, -0.105, 0.696], [-5.710, -0.143, -0.445], [-6.409, -1.200, -0.432], [-4.598, -1.007, 1.489], [-4.561, 2.632, -2.511], [-6.325, 0.781, -2.466], [-3.287, 1.168, 1.569], [-3.462, -0.993, -3.457], [-3.723, -1.117, -4.897], [-2.830, -0.210, -5.375], [-2.495, 0.714, -4.423], [-2.145, 1.830, -4.697], [-3.072, 0.352, -3.342], [-2.554, -1.520, -3.164], [-4.386, -1.244, -2.935], [-4.745, -0.781, -5.076], [-3.614, -2.103, -5.350], [1.842, -1.253, -3.498], [1.644, 0.233, -3.881], [2.543, 0.447, -4.949], [3.104, -0.747, -5.308], [3.985, -0.938, -6.159], [2.624, -1.713, -4.582], [0.902, -1.800, -3.423], [2.298, -1.395, -2.518], [2.034, 0.856, -3.076], [0.631, 0.423, -4.236], [1.724, -7.056, -3.485], [2.164, -5.665, -3.853], [1.189, -4.849, -3.267], [0.657, -5.440, -2.213], [-0.074, -4.978, -1.286], [1.088, -6.684, -2.230], [2.631, -7.660, -3.472], [1.129, -7.605, -4.214], [2.224, -5.573, -4.938], [3.140, -5.416, -3.435], [2.738, -0.483, 3.168], [2.649, -0.962, 1.722], [4.049, -0.977, 1.319], [4.883, -0.910, 2.472], [6.071, -1.095, 2.482], [4.104, -0.604, 3.535], [2.132, -1.221, 3.693], [2.526, 0.583, 3.257], [2.230, -0.124, 1.163], [2.231, -1.918, 1.408], [2.344, 3.036, 4.882], [2.491, 3.252, 3.409], [2.382, 4.639, 3.243], [1.893, 5.230, 4.327], [1.886, 6.464, 4.559], [1.784, 4.259, 5.325], [3.331, 3.034, 5.345], [1.581, 2.313, 5.170], [1.688, 2.718, 2.900], [3.434, 2.968, 2.941], [-2.477, 2.507, 5.533], [-3.330, 1.490, 4.691], [-3.843, 2.301, 3.597], [-3.232, 3.514, 3.558], [-3.674, 4.393, 2.866], [-2.327, 3.570, 4.527], [-1.467, 2.169, 5.764], [-2.989, 2.975, 6.374], [-4.181, 1.120, 5.262], [-2.757, 0.665, 4.267], [5.204, 2.822, -0.393], [4.703, 1.487, -0.997], [3.353, 1.772, -1.093], [3.001, 2.571, -0.069], [1.870, 2.851, 0.340], [4.114, 2.992, 0.497], [5.221, 3.396, -1.320], [6.098, 2.921, 0.222], [4.852, 0.683, -0.276], [5.109, 1.367, -2.001]], "forces_ev_per_a": [[0.5108, -0.5018, -0.1457], [0.1356, -0.5220, 0.4132], [0.0831, 0.3427, -0.1802], [-0.5253, -4.3486, -0.2647], [0.3310, 1.3804, -0.2282], [-1.6474, -1.5388, -1.5043], [0.9965, 3.3081, 2.3503], [-0.6277, -4.0042, 0.5646], [1.6462, 5.1084, -1.1026], [0.4423, 3.7622, -0.0841], [-0.1635, -1.7486, -2.2271], [-1.2288, -1.6305, 2.5997], [-0.0303, -0.6715, 0.0716], [-0.1404, 0.5562, 0.0217], [0.1583, 0.5616, -0.1416], [-0.7180, -2.6067, 2.4145], [1.0107, 3.9726, -3.2139], [1.6834, 4.2381, -0.1142], [-0.9830, -1.7049, -1.7555], [2.0371, -0.5810, 3.0592], [-2.5596, -0.8704, -1.5531], [-2.2143, -3.8244, -1.1481], [1.6539, 3.5876, -0.6767], [0.4373, -0.5956, 0.6156], [-0.0653, -1.6548, 2.3565], [-0.1292, -0.0599, 0.0892], [0.2207, 0.4072, 0.0059], [0.0884, -1.3541, 0.9871], [-1.3317, -0.8610, -0.2372], [2.6416, 1.0654, -2.2589], [-1.6368, 2.9670, -4.4629], [1.1768, -1.3828, 0.7626], [-0.9075, -0.1836, 4.3068], [-0.3976, -0.9013, 0.3028], [0.4677, 0.2062, 0.7652], [-0.1985, 0.1093, -0.3564], [0.2518, 0.0524, 0.1466], [-0.7453, 0.7622, -0.1209], [0.3230, -0.2609, 0.7053], [0.8005, -0.8427, -0.9376], [3.4668, 1.1009, -3.3538], [-3.0287, 1.0943, 2.5517], [-0.6901, -2.4401, 1.5526], [-0.0613, -0.1359, -0.4980], [0.6998, 0.0473, -0.2052], [-0.8664, 0.2962, 0.0553], [0.0450, 0.3963, 0.3198], [1.1435, 0.9298, -0.3496], [1.0395, -0.9386, -1.6172], [-1.7083, 2.7863, 0.6408], [-0.0986, -0.6250, 0.8814], [1.6219, -0.8701, -2.9936], [-0.8168, -2.4782, 1.2328], [-0.1381, -0.2073, 1.3742], [-1.0025, 0.5181, 0.4430], [-0.2799, 0.6421, 0.1281], [-0.0731, 0.0259, 0.1214], [-0.0221, -1.0795, -0.3177], [2.0517, 1.7275, -1.2503], [0.7389, -0.2152, 1.2253], [0.5107, -0.3893, -0.9012], [-2.3636, 0.4910, -0.2022], [0.4721, -0.5563, -0.0920], [-0.0328, 0.7857, 1.0184], [-0.7380, -0.3437, 0.2157], [-0.4879, -0.3238, -0.4326], [-0.2498, -0.0081, 0.6965], [0.2991, 1.0076, 0.7353], [-0.3119, -0.9727, -0.9871], [-0.5122, 0.8861, -1.1613], [1.9427, 3.8021, 3.1668], [-0.9045, -5.1447, -1.3761], [-1.0972, 1.9714, -0.6205], [-0.1508, -1.0124, 0.3853], [0.8076, -0.6399, 0.0045], [-0.1481, 0.2899, -0.4128], [0.0445, -0.1697, 0.3597], [-0.3603, 0.3491, -2.2587], [-0.1158, 1.0084, 0.3346], [0.1722, -1.2745, 0.3537], [-2.1317, 0.5507, 0.5983], [1.5533, -0.8062, 0.2471], [1.0372, 0.5508, 0.5011], [-0.2638, -0.0103, 0.1926], [0.0374, -0.3955, 0.0376], [0.0680, -0.0781, -0.1622], [0.0800, 0.0616, 0.1156], [0.2038, -1.8460, -0.8443], [2.9311, 0.1932, 0.5461], [-3.1255, 0.1071, -0.2252], [-1.4895, 0.4072, 0.6684], [2.2062, -0.8739, -1.2701], [-0.6388, 2.0721, 1.0011], [-0.2212, 1.4369, 0.7406], [0.0287, -0.4338, -0.4978], [0.1313, -0.4258, -0.4877], [-0.0504, -0.5786, 0.2472]], "total_charge": 2, "multiplicity": 7, "homo_ev": [-13.81, -13.81], "total_energy_ha": -3841.25097, "homo_lumo_gap_ev": [6.074, 4.365]}
-- stop --
Request =
Next, duplicate the notes further up word for word.
Here it is =
{"formula": "C33H32O29Pd3", "method": "wB97M-V/def2-TZVPD", "species": ["Pd", "Pd", "Pd", "C", "C", "C", "O", "C", "C", "C", "O", "O", "O", "H", "H", "C", "C", "C", "O", "C", "C", "C", "O", "O", "O", "H", "H", "C", "C", "O", "C", "O", "O", "H", "H", "H", "H", "C", "C", "O", "C", "O", "O", "H", "H", "H", "H", "C", "C", "O", "C", "O", "O", "H", "H", "H", "H", "C", "C", "O", "C", "O", "O", "H", "H", "H", "H", "C", "C", "O", "C", "O", "O", "H", "H", "H", "H", "C", "C", "O", "C", "O", "O", "H", "H", "H", "H", "C", "C", "O", "C", "O", "O", "H", "H", "H", "H"], "positions_angstrom": [[-2.362, -5.044, -0.904], [-0.702, 3.148, 0.088], [-2.381, -4.498, 3.749], [-0.970, -0.620, 2.382], [-1.351, -1.918, 1.867], [-1.336, -2.119, 0.317], [-1.741, -3.164, -0.293], [-0.984, -0.979, -0.548], [-0.535, 0.145, 0.016], [-0.621, 0.406, 1.557], [-0.462, 1.581, 2.040], [-0.134, 1.083, -0.826], [-1.760, -2.841, 2.585], [-0.916, -0.596, 3.461], [-1.034, -1.226, -1.598], [-5.681, 0.860, -1.602], [-4.706, 1.801, -1.521], [-3.861, 1.943, -0.296], [-3.162, 3.001, 0.013], [-3.885, 1.029, 0.681], [-4.656, -0.105, 0.696], [-5.710, -0.143, -0.445], [-6.409, -1.200, -0.432], [-4.598, -1.007, 1.489], [-4.561, 2.632, -2.511], [-6.325, 0.781, -2.466], [-3.287, 1.168, 1.569], [-3.462, -0.993, -3.457], [-3.723, -1.117, -4.897], [-2.830, -0.210, -5.375], [-2.495, 0.714, -4.423], [-2.145, 1.830, -4.697], [-3.072, 0.352, -3.342], [-2.554, -1.520, -3.164], [-4.386, -1.244, -2.935], [-4.745, -0.781, -5.076], [-3.614, -2.103, -5.350], [1.842, -1.253, -3.498], [1.644, 0.233, -3.881], [2.543, 0.447, -4.949], [3.104, -0.747, -5.308], [3.985, -0.938, -6.159], [2.624, -1.713, -4.582], [0.902, -1.800, -3.423], [2.298, -1.395, -2.518], [2.034, 0.856, -3.076], [0.631, 0.423, -4.236], [1.724, -7.056, -3.485], [2.164, -5.665, -3.853], [1.189, -4.849, -3.267], [0.657, -5.440, -2.213], [-0.074, -4.978, -1.286], [1.088, -6.684, -2.230], [2.631, -7.660, -3.472], [1.129, -7.605, -4.214], [2.224, -5.573, -4.938], [3.140, -5.416, -3.435], [2.738, -0.483, 3.168], [2.649, -0.962, 1.722], [4.049, -0.977, 1.319], [4.883, -0.910, 2.472], [6.071, -1.095, 2.482], [4.104, -0.604, 3.535], [2.132, -1.221, 3.693], [2.526, 0.583, 3.257], [2.230, -0.124, 1.163], [2.231, -1.918, 1.408], [2.344, 3.036, 4.882], [2.491, 3.252, 3.409], [2.382, 4.639, 3.243], [1.893, 5.230, 4.327], [1.886, 6.464, 4.559], [1.784, 4.259, 5.325], [3.331, 3.034, 5.345], [1.581, 2.313, 5.170], [1.688, 2.718, 2.900], [3.434, 2.968, 2.941], [-2.477, 2.507, 5.533], [-3.330, 1.490, 4.691], [-3.843, 2.301, 3.597], [-3.232, 3.514, 3.558], [-3.674, 4.393, 2.866], [-2.327, 3.570, 4.527], [-1.467, 2.169, 5.764], [-2.989, 2.975, 6.374], [-4.181, 1.120, 5.262], [-2.757, 0.665, 4.267], [5.204, 2.822, -0.393], [4.703, 1.487, -0.997], [3.353, 1.772, -1.093], [3.001, 2.571, -0.069], [1.870, 2.851, 0.340], [4.114, 2.992, 0.497], [5.221, 3.396, -1.320], [6.098, 2.921, 0.222], [4.852, 0.683, -0.276], [5.109, 1.367, -2.001]], "forces_ev_per_a": [[0.5108, -0.5018, -0.1457], [0.1356, -0.5220, 0.4132], [0.0831, 0.3427, -0.1802], [-0.5253, -4.3486, -0.2647], [0.3310, 1.3804, -0.2282], [-1.6474, -1.5388, -1.5043], [0.9965, 3.3081, 2.3503], [-0.6277, -4.0042, 0.5646], [1.6462, 5.1084, -1.1026], [0.4423, 3.7622, -0.0841], [-0.1635, -1.7486, -2.2271], [-1.2288, -1.6305, 2.5997], [-0.0303, -0.6715, 0.0716], [-0.1404, 0.5562, 0.0217], [0.1583, 0.5616, -0.1416], [-0.7180, -2.6067, 2.4145], [1.0107, 3.9726, -3.2139], [1.6834, 4.2381, -0.1142], [-0.9830, -1.7049, -1.7555], [2.0371, -0.5810, 3.0592], [-2.5596, -0.8704, -1.5531], [-2.2143, -3.8244, -1.1481], [1.6539, 3.5876, -0.6767], [0.4373, -0.5956, 0.6156], [-0.0653, -1.6548, 2.3565], [-0.1292, -0.0599, 0.0892], [0.2207, 0.4072, 0.0059], [0.0884, -1.3541, 0.9871], [-1.3317, -0.8610, -0.2372], [2.6416, 1.0654, -2.2589], [-1.6368, 2.9670, -4.4629], [1.1768, -1.3828, 0.7626], [-0.9075, -0.1836, 4.3068], [-0.3976, -0.9013, 0.3028], [0.4677, 0.2062, 0.7652], [-0.1985, 0.1093, -0.3564], [0.2518, 0.0524, 0.1466], [-0.7453, 0.7622, -0.1209], [0.3230, -0.2609, 0.7053], [0.8005, -0.8427, -0.9376], [3.4668, 1.1009, -3.3538], [-3.0287, 1.0943, 2.5517], [-0.6901, -2.4401, 1.5526], [-0.0613, -0.1359, -0.4980], [0.6998, 0.0473, -0.2052], [-0.8664, 0.2962, 0.0553], [0.0450, 0.3963, 0.3198], [1.1435, 0.9298, -0.3496], [1.0395, -0.9386, -1.6172], [-1.7083, 2.7863, 0.6408], [-0.0986, -0.6250, 0.8814], [1.6219, -0.8701, -2.9936], [-0.8168, -2.4782, 1.2328], [-0.1381, -0.2073, 1.3742], [-1.0025, 0.5181, 0.4430], [-0.2799, 0.6421, 0.1281], [-0.0731, 0.0259, 0.1214], [-0.0221, -1.0795, -0.3177], [2.0517, 1.7275, -1.2503], [0.7389, -0.2152, 1.2253], [0.5107, -0.3893, -0.9012], [-2.3636, 0.4910, -0.2022], [0.4721, -0.5563, -0.0920], [-0.0328, 0.7857, 1.0184], [-0.7380, -0.3437, 0.2157], [-0.4879, -0.3238, -0.4326], [-0.2498, -0.0081, 0.6965], [0.2991, 1.0076, 0.7353], [-0.3119, -0.9727, -0.9871], [-0.5122, 0.8861, -1.1613], [1.9427, 3.8021, 3.1668], [-0.9045, -5.1447, -1.3761], [-1.0972, 1.9714, -0.6205], [-0.1508, -1.0124, 0.3853], [0.8076, -0.6399, 0.0045], [-0.1481, 0.2899, -0.4128], [0.0445, -0.1697, 0.3597], [-0.3603, 0.3491, -2.2587], [-0.1158, 1.0084, 0.3346], [0.1722, -1.2745, 0.3537], [-2.1317, 0.5507, 0.5983], [1.5533, -0.8062, 0.2471], [1.0372, 0.5508, 0.5011], [-0.2638, -0.0103, 0.1926], [0.0374, -0.3955, 0.0376], [0.0680, -0.0781, -0.1622], [0.0800, 0.0616, 0.1156], [0.2038, -1.8460, -0.8443], [2.9311, 0.1932, 0.5461], [-3.1255, 0.1071, -0.2252], [-1.4895, 0.4072, 0.6684], [2.2062, -0.8739, -1.2701], [-0.6388, 2.0721, 1.0011], [-0.2212, 1.4369, 0.7406], [0.0287, -0.4338, -0.4978], [0.1313, -0.4258, -0.4877], [-0.0504, -0.5786, 0.2472]], "total_charge": 2, "multiplicity": 7, "homo_ev": [-13.81, -13.81], "total_energy_ha": -3841.25097, "homo_lumo_gap_ev": [6.074, 4.365]}